Restate the lines underneath up to the one that holds "5.885", that line included.
/*
No. 1
The following is a DFT calculation (PBE-GGA) of a geometry-optimized PBrNCl2 structure.

```
5
Lattice="5.301 0.000 0.000 0.000 5.301 0.000 0.000 0.000 5.182" Properties=species:S:1:pos:R:3 pbc="T T T"
P 0.000 0.000 0.000
Br 0.000 0.000 2.591
N 2.651 2.651 0.000
Cl 0.000 2.651 2.591
Cl 2.651 0.000 2.591
```

- crystal system = tetragonal
- formation energy without anion corrections (meV per atom) = 1635
- DOS(E_F) (states/eV per cell) = 2.582
- space-group type = P4/mmm (123)
- energy relative to the lowest polymorph listed for this composition (meV/atom) = 477

***

No. 2
The following is a DFT calculation (PBE-GGA) of a geometry-optimized DySbAu2 structure.

```
4
Lattice="0.000 3.547 3.547 3.547 0.000 3.547 3.547 3.547 0.000" Properties=species:S:1:pos:R:3 pbc="T T T"
Dy 0.000 0.000 0.000
Sb 3.547 3.547 3.547
Au 1.774 1.774 1.774
Au 5.321 5.321 5.321
```

- crystal system = cubic
- formation energy without anion corrections (meV per atom) = -605
- DOS(E_F) (states/eV per cell) = 1.908
- space-group type = Fm-3m (225)
- energy relative to the lowest polymorph listed for this composition (meV/atom) = 0

***

No. 3
The following is a DFT calculation (PBE-GGA) of a geometry-optimized MgSb2Pd4 structure.

```
14
Lattice="2.260 -6.686 0.000 2.260 6.686 0.000 0.000 0.000 8.697" Properties=species:S:1:pos:R:3 pbc="T T T"
Mg 2.260 4.338 6.523
Mg 2.260 -4.338 2.174
Sb 2.260 1.462 4.945
Sb 2.260 1.462 8.101
Sb 2.260 -1.462 0.596
Sb 2.260 -1.462 3.753
Pd 0.000 0.000 0.000
Pd 0.000 0.000 4.349
Pd 2.260 3.754 0.786
Pd 2.260 3.754 3.563
Pd 2.260 0.880 2.174
Pd 2.260 -0.880 6.523
Pd 2.260 -3.754 5.135
Pd 2.260 -3.754 7.911
```

- crystal system = orthorhombic
- formation energy without anion corrections (meV per atom) = -432
- DOS(E_F) (states/eV per cell) = 6.466
- space-group type = Cmcm (63)
- energy relative to the lowest polymorph listed for this composition (meV/atom) = 40

***

No. 4
The following is a DFT calculation (PBE-GGA) of a geometry-optimized ScSeS2 structure.

```
8
Lattice="-2.441 2.441 7.789 2.441 -2.441 7.789 2.441 2.441 -7.789" Properties=species:S:1:pos:R:3 pbc="T T T"
Sc 0.000 0.000 0.000
Sc 0.000 2.441 3.894
Se 2.441 0.000 3.894
Se 0.000 0.000 7.789
S 3.662 1.116 -1.947
S 1.116 1.221 1.947
S -1.221 1.325 5.842
S 1.325 1.221 9.736
```

- crystal system = tetragonal
- formation energy without anion corrections (meV per atom) = -461
- DOS(E_F) (states/eV per cell) = 4.528
- space-group type = I-42d (122)

***

No. 5
The following is a DFT calculation (PBE-GGA) of a geometry-optimized GdTh2Mg structure.

```
4
Lattice="3.490 0.000 0.000 0.000 3.490 0.000 0.000 0.000 10.040" Properties=species:S:1:pos:R:3 pbc="T T T"
Gd 0.000 0.000 0.000
Th 1.745 1.745 2.613
Th 1.745 1.745 7.428
Mg 0.000 0.000 5.020
```

- formation energy (eV per atom) = 0.089
- crystal system = tetragonal
- DOS(E_F) (states/eV per cell) = 4.881
- space-group type = P4/mmm (123)
- energy relative to the lowest polymorph listed for this composition (meV/atom) = 24

***

No. 6
The following is a DFT calculation (PBE-GGA) of a geometry-optimized Zr4PRh structure.

```
6
Lattice="0.000 3.923 3.923 3.923 0.000 3.923 3.923 3.923 0.000" Properties=species:S:1:pos:R:3 pbc="T T T"
Zr 0.982 0.982 0.982
Zr 2.941 2.941 0.982
Zr 2.941 0.982 2.941
Zr 0.982 2.941 2.941
P 5.885 5.885 5.885
Rh 3.923 3.923 3.923
```

- formation energy (eV per atom) = 0.360
- crystal system = cubic
- DOS(E_F) (states/eV per cell) = 6.355
- space-group type = F-43m (216)

***

No. 7
The following is a DFT calculation (PBE-GGA) of a geometry-optimized CuSe2N structure.

```
8
Lattice="-2.566 2.566 5.541 2.566 -2.566 5.541 2.566 2.566 -5.541" Properties=species:S:1:pos:R:3 pbc="T T T"
Cu 0.000 0.000 0.000
Cu 0.000 2.566 2.770
Se 1.283 -1.093 4.155
Se 1.473 1.283 1.385
Se 1.283 3.659 -1.385
Se 1.093 1.283 6.926
N 2.566 0.000 2.770
N 0.000 0.000 5.541
```

- crystal system = tetragonal
- formation energy without anion corrections (meV per atom) = 714
*/
No. 1
The following is a DFT calculation (PBE-GGA) of a geometry-optimized PBrNCl2 structure.

```
5
Lattice="5.301 0.000 0.000 0.000 5.301 0.000 0.000 0.000 5.182" Properties=species:S:1:pos:R:3 pbc="T T T"
P 0.000 0.000 0.000
Br 0.000 0.000 2.591
N 2.651 2.651 0.000
Cl 0.000 2.651 2.591
Cl 2.651 0.000 2.591
```

- crystal system = tetragonal
- formation energy without anion corrections (meV per atom) = 1635
- DOS(E_F) (states/eV per cell) = 2.582
- space-group type = P4/mmm (123)
- energy relative to the lowest polymorph listed for this composition (meV/atom) = 477

***

No. 2
The following is a DFT calculation (PBE-GGA) of a geometry-optimized DySbAu2 structure.

```
4
Lattice="0.000 3.547 3.547 3.547 0.000 3.547 3.547 3.547 0.000" Properties=species:S:1:pos:R:3 pbc="T T T"
Dy 0.000 0.000 0.000
Sb 3.547 3.547 3.547
Au 1.774 1.774 1.774
Au 5.321 5.321 5.321
```

- crystal system = cubic
- formation energy without anion corrections (meV per atom) = -605
- DOS(E_F) (states/eV per cell) = 1.908
- space-group type = Fm-3m (225)
- energy relative to the lowest polymorph listed for this composition (meV/atom) = 0

***

No. 3
The following is a DFT calculation (PBE-GGA) of a geometry-optimized MgSb2Pd4 structure.

```
14
Lattice="2.260 -6.686 0.000 2.260 6.686 0.000 0.000 0.000 8.697" Properties=species:S:1:pos:R:3 pbc="T T T"
Mg 2.260 4.338 6.523
Mg 2.260 -4.338 2.174
Sb 2.260 1.462 4.945
Sb 2.260 1.462 8.101
Sb 2.260 -1.462 0.596
Sb 2.260 -1.462 3.753
Pd 0.000 0.000 0.000
Pd 0.000 0.000 4.349
Pd 2.260 3.754 0.786
Pd 2.260 3.754 3.563
Pd 2.260 0.880 2.174
Pd 2.260 -0.880 6.523
Pd 2.260 -3.754 5.135
Pd 2.260 -3.754 7.911
```

- crystal system = orthorhombic
- formation energy without anion corrections (meV per atom) = -432
- DOS(E_F) (states/eV per cell) = 6.466
- space-group type = Cmcm (63)
- energy relative to the lowest polymorph listed for this composition (meV/atom) = 40

***

No. 4
The following is a DFT calculation (PBE-GGA) of a geometry-optimized ScSeS2 structure.

```
8
Lattice="-2.441 2.441 7.789 2.441 -2.441 7.789 2.441 2.441 -7.789" Properties=species:S:1:pos:R:3 pbc="T T T"
Sc 0.000 0.000 0.000
Sc 0.000 2.441 3.894
Se 2.441 0.000 3.894
Se 0.000 0.000 7.789
S 3.662 1.116 -1.947
S 1.116 1.221 1.947
S -1.221 1.325 5.842
S 1.325 1.221 9.736
```

- crystal system = tetragonal
- formation energy without anion corrections (meV per atom) = -461
- DOS(E_F) (states/eV per cell) = 4.528
- space-group type = I-42d (122)

***

No. 5
The following is a DFT calculation (PBE-GGA) of a geometry-optimized GdTh2Mg structure.

```
4
Lattice="3.490 0.000 0.000 0.000 3.490 0.000 0.000 0.000 10.040" Properties=species:S:1:pos:R:3 pbc="T T T"
Gd 0.000 0.000 0.000
Th 1.745 1.745 2.613
Th 1.745 1.745 7.428
Mg 0.000 0.000 5.020
```

- formation energy (eV per atom) = 0.089
- crystal system = tetragonal
- DOS(E_F) (states/eV per cell) = 4.881
- space-group type = P4/mmm (123)
- energy relative to the lowest polymorph listed for this composition (meV/atom) = 24

***

No. 6
The following is a DFT calculation (PBE-GGA) of a geometry-optimized Zr4PRh structure.

```
6
Lattice="0.000 3.923 3.923 3.923 0.000 3.923 3.923 3.923 0.000" Properties=species:S:1:pos:R:3 pbc="T T T"
Zr 0.982 0.982 0.982
Zr 2.941 2.941 0.982
Zr 2.941 0.982 2.941
Zr 0.982 2.941 2.941
P 5.885 5.885 5.885